We run because we enjoy it, right? If you don’t have a particular race to train for, you might be thinking, “Why do I need a training plan?” Sometimes, a lack of focus in our running can cause us to lose consistency and motivation. When life gets busy, it’s easy to drift from run to run without any forward planning or commitment. This can have a negative impact on our running. On the other hand, if we’re really enjoying our running, we may over train and be at risk of injury. This is why a training plan is so important. Here are 5 reasons why you should consider a training plan, even if you don’t have a race in the diary.


Consistency is so important for your running because it helps you establish a routine and build a solid base of fitness over time. Running consistently trains your body to adapt to the demands of exercise. Regular running also helps strengthen the muscles, bones, and connective tissues in your body, reducing the risk of injury. You’ll get into the habit too, making it mentally easier to stick to your goals. You’ll see progress and improvement through consistent running, which can motivate you to keep going.

Inserted here: data records:
........
No. 1
# Pr2CdPd

A relaxed structure of Pr2CdPd (PBE-GGA, Alexandria via LeMat-Bulk).

As for the density of states at the Fermi level: 0.943 states/eV per atom. The offset from the most stable computed form comes out at 2.180 eV/f.u. For the formation energy, the calculation gives 0.0377 eV/atom.

It has space group R-3m (No. 166, hexagonal axes), with a = 3.4422 Å, b = 3.4422 Å, c = 32.7114 Å, α = 90.00°, β = 90.00° and γ = 120.00°. Symmetry generates all atoms from Pr at (0.0000, 0.0000, 0.0834), Cd at (0.0000, 0.0000, 0.5000) and Pd at (0.0000, 0.0000, 0.0000).


No. 2
# Pr6Cd4Pd13

A relaxed structure of Pr6Cd4Pd13 (PBE-GGA, Alexandria via LeMat-Bulk).

As for the density of states at the Fermi level: 0.469 states/eV per atom. For the formation energy, the calculation gives -0.7234 eV/atom.

It has space group Im-3m (No. 229), with a = 9.9051 Å, b = 9.9051 Å, c = 9.9051 Å, α = 90.00°, β = 90.00° and γ = 90.00°. Symmetry generates all atoms from Pr at (0.0000, 0.0000, 0.3019), Cd at (0.2500, 0.2500, 0.2500), Pd at (0.0000, 0.0000, 0.0000) and Pd at (0.0000, 0.3409, 0.3409).

* * * * *

# 1
Entry from OQMD: a relaxed Ta4W9 crystal (PBE-GGA).

abc: 5.2539 5.2539 28.3604
angles: 90.00 90.00 120.00
Closest atoms and distances in Å follow each position.
Space group R-3m (No. 166, hexagonal axes)
One atom of each set of equivalent atoms:
Ta 0.0000 0.0000 0.0479  1 Ta 2.72, 7 W 2.89-2.91
Ta 0.0000 0.0000 0.3324  6 W 2.95-3.01, 3 Ta 3.03
W 0.0000 0.0000 0.1503  1 Ta 2.91, 15 W 3.02-3.17
W 0.0000 0.0000 0.5000  6 W 2.65
W 0.0035 0.5017 0.9095  5 W 2.60-2.65, 2 Ta 2.89

## Properties
Offset from the most stable computed form ... 128 meV/atom
Formation enthalpy at 0 K ... 0.192 eV per atom

# 2
Entry from OQMD: a relaxed Ta12W crystal (PBE-GGA).

abc: 5.4375 5.4375 28.3912
angles: 90.00 90.00 120.00
Closest atoms and distances in Å follow each position.
Space group R-3m (No. 166, hexagonal axes)
One atom of each set of equivalent atoms:
Ta 0.0000 0.0000 0.0453  1 Ta 2.57
Ta 0.0000 0.0000 0.1481  10 Ta 2.92-3.17, 3 W 3.18
Ta 0.0000 0.0000 0.3322  9 Ta 2.98-3.14
Ta 0.0025 0.5013 0.9096  1 W 2.68, 5 Ta 2.70-2.98
W 0.0000 0.0000 0.5000  6 Ta 2.68

## Properties
Formation enthalpy at 0 K ... 0.086 eV per atom

# 3
Entry from OQMD: a relaxed Ta13W16 crystal (PBE-GGA).

abc: 10.0331 10.0331 10.0331
angles: 90.00 90.00 90.00
Closest atoms and distances in Å follow each position.
Space group I-43m (No. 217)
One atom of each set of equivalent atoms:
Ta 0.0000 0.0000 0.0000  12 Ta 3.18, 4 W 3.25
Ta 0.0943 0.0943 0.7124  5 W 2.66-2.91, 3 Ta 2.68-2.74
W 0.0451 0.3612 0.6388  5 Ta 2.66-2.91, 3 W 2.77-2.93
W 0.1870 0.1870 0.1870  3 W 2.77

## Properties
Offset from the most stable computed form ... 113 meV/atom
Formation enthalpy at 0 K ... 0.283 eV per atom

# 4
Entry from OQMD: a relaxed Ta6W7 crystal (PBE-GGA).

abc: 5.2912 5.2912 28.4502
angles: 90.00 90.00 120.00
Closest atoms and distances in Å follow each position.
Space group R-3m (No. 166, hexagonal axes)
........


A good training plan will be designed to gradually increase the intensity and duration of your runs over time. A steady progression will help you to avoid overtraining and injury. It can also be really motivating to set yourself small goals, based on time or distance or even a Strava segment, and work towards it.


Do you ever feel like your running is plateauing? We can all get a bit stuck in a rut. A training plan will help you incorporate different types of runs, such as speed workouts, hill repeats, and long runs. Variety is the spice of life, so keep your training interesting and challenging.


The power of having your plan written down, and ticking the sessions off one by one as you do them, can help keep you accountable. That little hit of dopamine as you tick off a session as “done” will keep you motivated to stick to your goals.


A good training plan will enable you to be flexible too. We know that life and work can sometimes throw things at you that mean you can’t get out for a planned session. This is why working with a coach can be useful, who will help you make changes to your schedule, whilst keeping you on track for your goals.

Now you understand how a varied, flexible training plan can help you to be more consistent in your running. It can provide accountability and motivation, while helping you to build your fitness in a safe way. Why not have a go at planning out your training for the next week? If you need some help with this, feel free to get in touch with me. 

Materials data from another source follow:
(1)
A geometry-optimized LaZn structure, computed with PBE.

For the formation energy, the calculation gives -210 meV per atom.

abc: 4.724 10.466 6.443
angles: 90.00 90.00 90.00
Space group Imm2 (No. 44)
One atom of each set of equivalent atoms:
La  0.000  0.000  0.000 (multiplicity 2)
La  0.000  0.319  0.783 (multiplicity 4)
Zn  0.000  0.000  0.522 (multiplicity 2)
Zn  0.000  0.376  0.254 (multiplicity 4)

(2)
A geometry-optimized LaZn2 structure, computed with PBE.

For the formation energy, the calculation gives 254 meV per atom.

abc: 7.066 7.066 7.066
angles: 90.00 90.00 90.00
Space group Pa-3 (No. 205)
One atom of each set of equivalent atoms:
La  0.000  0.000  0.000 (multiplicity 4)
Zn  0.099  0.599  0.901 (multiplicity 8)

(3)
A geometry-optimized LaZn structure, computed with PBE.

For the formation energy, the calculation gives -231 meV per atom.

abc: 10.991 8.924 6.648
angles: 90.00 90.00 90.00
Space group Pbcm (No. 57)
One atom of each set of equivalent atoms:
La  0.108  0.250  0.000 (multiplicity 4)
La  0.197  0.641  0.250 (multiplicity 4)
La  0.373  0.044  0.250 (multiplicity 4)
Zn  0.077  0.545  0.750 (multiplicity 4)
Zn  0.381  0.116  0.750 (multiplicity 4)
Zn  0.443  0.750  0.000 (multiplicity 4)

(4)
A geometry-optimized La2Zn structure, computed with PBE.

For the formation energy, the calculation gives -126 meV per atom.

abc: 15.644 3.826 6.960
angles: 90.00 116.30 90.00
Space group C2/m (No. 12)
One atom of each set of equivalent atoms:
La  0.000  0.000  0.243 (multiplicity 4)
La  0.200  0.500  0.200 (multiplicity 4)
Zn  0.125  0.500  0.624 (multiplicity 4)

no.,volume (Å³ per cell),E (eV/atom),Fermi-level density of states (states/eV/f.u.)
1,319,-3.31,1.9
2,353,-2.24,3.2
3,652,-3.33,1.9
4,373,-3.84,4.1

* * * * *

SrAcN PBE relaxed; formation energy from raw total energies = -0.3554 eV/atom; excess energy over the best structure of this formula in the dataset = 0.288 eV/atom; SG = C2/m; magnetization = 0.0 Bohr magnetons per cell
1.0
-3.074 -1.261 -3.982
1.952 -4.757 -0.677
-4.932 -5.559 1.619
Ac Sr N
2 2 2
direct
0.753 0.247 0.000 Ac
0.247 0.753 0.000 Ac
0.780 0.220 0.500 Sr
0.220 0.780 0.500 Sr
0.777 0.777 0.875 N
0.223 0.223 0.125 N

* * * * *

[1]
Entry from Alexandria: an optimized crystal structure of Ce6Tl2Sn (PBE-GGA).

```
Ce6Tl2Sn
1.0
-1.603 4.418 8.480
1.603 -4.418 8.480
1.603 4.418 -8.480
Ce Tl Sn
6 2 1
direct
0.006 0.161 0.845
0.316 0.161 0.155
0.343 0.000 0.343
0.657 0.000 0.657
0.684 0.839 0.845
0.994 0.839 0.155
0.339 0.339 0.000
0.661 0.661 0.000
0.000 0.500 0.500
```

Computed properties:
DOS(E_F)   24.65 states/eV/f.u.
Distance to the lowest polymorph of the same formula   38.1 meV per atom
ΔH_f (0 K)   -0.143 eV/atom
Crystal system   orthorhombic
Symmetry   Immm
E_tot   -5.07 eV per atom



[2]
Entry from Alexandria: an optimized crystal structure of MgZn2Sn (PBE-GGA).

```
MgZn2Sn
1.0
2.231 1.288 5.032
-2.231 1.288 5.032
0.000 -2.577 5.032
Mg Zn Sn
1 2 1
direct
0.000 0.000 0.000
0.396 0.396 0.396

We encourage participants on our Get Stronger, Run A Faster 5k course to plan out their week every Sunday evening. This helps them to see where they can fit in running and strength sessions around their work, social and family commitments. Writing everything down also helps them spot where they might be overdoing it and need to plan in some rest. Like the sound of having some help with planning your training and building consistency? Find out more about the course here.